If you’ve not been here before a very warm welcome. We are a Maintenance Organisation looking after the Airworthiness and general wellbeing of hot air balloons but, as we have rather eclectic interests, apart from balloon information and balloony type articles and information there are some articles various on all sorts of things. It seems to have been a very long time since we updated the site this time round and for that we apologise. The reason is that we have been rather pre-occupied with our fate at the workshop and fighting HS2 and their solicitors to try and ensure we can stay put. It is a long story and one day we’ll write a book about it but suffice to say that for the moment our local MP Mr David Lidington and his good offices have come to the rescue in a remarkable way and for now it seems we may be staying. We would like to thank you all for your support and offers of help which have been most appreciated. Thankyou. Hopefully we can get a bit of normality back very soon. One thing that has to be addressed is that our rent is set to double so we will have to increase our charges which haven’t been reviewed for some considerable time but any increase will be kept to the absolute minimum I can assure you. So, what has been going on in the two months we have been away? We’ve missed a few meets but been reasonably busy but the weather has not been that condusive to ballooning and the industry seems to still be declining if hours flown as entered in the logbooks of the balloons we inspect are anything to go by. A slight rally in the weather towards the end of the season seems have helped the ride operators and remarkably a number of meets have flown all the slots including the One Man Meet. Sadly pressure of a potential move prevented us attending any of the meets apart from Grass Roots so we’ll try harder next year!
The news in this issue is rather messy on account that most of it was out of date and of late we haven’t been keeping notes, however the CAA and EASA have as usual come to the rescue! On the balloon front we have sold Landrover and a few cylinders. Article wise there is a bit about Bekonscot model village, a nice little ditty from Dave Jenks on the wonderful Chatsworth Meet, hopefully (if I can find it) Tim Wilkinson’s latest light-weight adventure and a rather interesting burner built for an American gentleman who clearly called our bluff. I’m hopeful that in the next week or so we will also finally finish the long-awaited piece on Schwabisch Hall and the Me262s that seems to have been in the in-tray far too long. We nearly had Aidan Murphy’s Clown Special Shape to advertise but no sooner than he put it up for sale than its been sold to someone in Germany. The weather has been quite good for mushrooming though and we have had a good feast or two which was a lot better than last year.
Grand daughter Holly has taken to stunt riding and has now managed to perfect leaping on and off of her pony at speed and somewhat spectacularly including somersaulting and cartwheeling. Younger sister Nicole is close on her heels riding round the school standing up. No idea where they get it from. We have had some spectacular sunsets of late not least the other day when low scudding clouds and a distant cu-nim resulted in the pinkest light I have ever seen. Did try and take a picture but to no avail.
Here the article breaks off for calculated crystals:
[1]
This record from the Materials Project describes a relaxed KPF6 crystal. The functional is PBE.

Summary:
energy = -159.77 eV/cell
energy with MP2020 corrections = -5.34 eV per atom
energy of formation from the pure elements = -3088 meV/atom

Geometry as CIF:
```
data_KPF6
_cell_length_a 7.822
_cell_length_b 7.822
_cell_length_c 7.822
_cell_angle_alpha 90.00
_cell_angle_beta 90.00
_cell_angle_gamma 90.00
_space_group_name_H-M_alt 'P a -3'
_space_group_IT_number 205
_space_group_name_Hall '-P 2ac 2ab 3'
loop_
_atom_site_label
_atom_site_fract_x
_atom_site_fract_y
_atom_site_fract_z
K1 0.000 0.000 0.000
P1 0.000 0.000 0.500
F1 0.068 0.121 0.657
```

[2]
This record from the Materials Project describes a relaxed K3PdF6 crystal. The functional is PBE.

Summary:
energy = -166.95 eV/cell
energy with MP2020 corrections = -4.45 eV per atom
energy of formation from the pure elements = -2451 meV/atom

Geometry as CIF:
```
data_K3PdF6
_cell_length_a 9.070
_cell_length_b 9.070
_cell_length_c 9.070
_cell_angle_alpha 90.00
_cell_angle_beta 90.00
_cell_angle_gamma 90.00
_space_group_name_H-M_alt 'F m -3 m'
_space_group_IT_number 225
_space_group_name_Hall '-F 4 2 3'
loop_
_atom_site_label
_atom_site_fract_x
_atom_site_fract_y
_atom_site_fract_z
K1 0.000 0.000 0.000
K2 0.250 0.250 0.250
Pd1 0.000 0.000 0.500
F1 0.000 0.000 0.274
```

[3]
This record from the Materials Project describes a relaxed K2PdF6 crystal. The functional is PBE.

Summary:
energy = -37.59 eV/cell
energy with MP2020 corrections = -4.48 eV per atom
energy of formation from the pure elements = -2386 meV/atom

Geometry as CIF:
```
data_K2PdF6
_cell_length_a 5.9124
_cell_length_b 5.9124
_cell_length_c 4.8559
_cell_angle_alpha 90.00
_cell_angle_beta 90.00
_cell_angle_gamma 120.00
_space_group_name_H-M_alt 'P -3 m 1'
_space_group_IT_number 164
_space_group_name_Hall '-P 3 2"'
loop_
_atom_site_label
_atom_site_fract_x
_atom_site_fract_y
_atom_site_fract_z
K1 0.3333 0.6667 0.2191
Pd1 0.0000 0.0000 0.5000
F1 0.1601 0.3202 0.7202
```

[4]
This record from the Materials Project describes a relaxed KRb2PdF6 crystal. The functional is PBE.

Summary:
energy = -83.74 eV/cell
energy with MP2020 corrections = -4.46 eV per atom
energy of formation from the pure elements = -2490 meV/atom

Geometry as CIF:
```
data_KRb2PdF6
_cell_length_a 6.383
_cell_length_b 6.383
_cell_length_c 9.464
_cell_angle_alpha 90.00
_cell_angle_beta 90.00
_cell_angle_gamma 90.00
_space_group_name_H-M_alt 'I 4/m m m'
_space_group_IT_number 139
_space_group_name_Hall '-I 4 2'
loop_
_atom_site_label
_atom_site_fract_x
_atom_site_fract_y
_atom_site_fract_z
K1 0.000 0.000 0.000
Rb1 0.000 0.500 0.250
Pd1 0.000 0.000 0.500
F1 0.000 0.000 0.267
F2 0.221 0.221 0.500
```

- Which formula does entry 1 have?
  KPF6

- Look up the energy of the second one.
  -166.95 eV/cell

- What is the formula in the first record?
  KPF6

----------

[1]
As for the dark barn. Well its pretty empty. The Hondas and old Standard along with a pile of mobility scoots that had been cluttering up the place have all gone to owners new. The only cars remaining now are the old Standard Companion and ARO my original Standard 8. The Hilux has its new fuel pump on, been MOT’d and no longer drips diesel but does need a bit of fine tuning. Its been back and forth to the scrappy umpteen times now and nearly got picked up on the crane whilst I wasn’t looking. We have ‘new’ (N-reg) Corsa automatic which has about ten miles on it but every panel is dinked as a result of having had one old lady owner. Does drive well though. The cart that crashed through the hedge is now all straight and may well be back in service but with a different pony this time round. Despite the clearout we seem to have acquired a Puch moped which is due some tlc. We nearly sold it but ‘notamesser’ ebay person failed to honour the deal so we are keeping it for the moment. It may actually turn out to be a reliable machine! On the cover today is John the poacher. He mentioned to Pete Brown that he fancied pigeon so Pete told him to help himself. Somewhere near the middle is a rather fine parasol mushroom and finally we have a handstand by Holly on Treasure the Pony. If you spot bad grammar or spelling mistakes keep them to yourself please. Well that’s about it for a few weeks so thanks for visiting and please have a look round. All the best from John, Jane, Alice (for the moment!) Dotty and Chris.